
  1. Diesel_Dude08

    Predator 9500 Generator backfiring on shutdown.

    Hello this is kind of the sequel to another post I made about a week ago regarding a predator 9500 generator backfiring on shutdown. I have been working on the unit for a family friend. He asked for a full service and a few repairs. One of his complaints was that the generator backfired on...
  2. M

**Attached: molecular data**
____________
<one>
DFT (ωB97M-V/def2-TZVPD) results for a 3-piece molecular cluster, C4H10N2O2 overall.

```
! RIJCOSX wB97M-V def2-TZVPD def2/J DEFGRID3
* xyz 0 1
C 1.14153 2.31333 0.75147
C 0.31054 1.15950 0.27284
C -0.65371 0.50422 0.97086
N -1.05843 -0.56716 0.18064
C -0.26290 -0.51805 -0.91561
N 0.52892 0.51578 -0.92580
H 1.36952 2.26638 1.81257
H 2.08048 2.27408 0.19308
H 0.64502 3.24412 0.46877
H -1.33280 0.75942 1.77148
H -1.88053 -1.12368 0.34130
H -0.26971 -1.27951 -1.67069
O -2.80921 -1.63825 -1.85851
H -3.29337 -0.80999 -1.97721
H -2.27273 -1.78032 -2.64186
O 2.81221 -1.64057 1.37894
H 1.85565 -1.75283 1.35455
H 3.08954 -1.92647 0.49320
*
```

Output
SMILES: Cc1c[nH]cn1.O.O
LUMO level: 0.531 eV
Gap between HOMO and LUMO: 0.33449 Ha

<two>
DFT (ωB97M-V/def2-TZVPD) results for C4H10N2O2 in the gas phase.

```
! RIJCOSX wB97M-V def2-TZVPD def2/J DEFGRID3
* xyz 0 1
N -1.82291 2.03107 -1.38334
C -0.67327 1.42646 -0.87278
O 0.40620 1.59912 -1.41858
C -0.85154 0.46442 0.22532
C 0.34082 -0.69080 0.24764
N 1.50762 0.05281 0.80026
C -0.07189 -1.87565 1.11804
O 1.12158 -2.61480 1.07811
H -1.66232 2.79964 -2.03741
H -2.78022 1.82685 -1.15225
H -0.77936 0.91807 1.28786
H -1.92984 0.16008 0.13383
H 0.57604 -1.14156 -0.73321
H 2.07359 -0.63578 1.26184
H 2.04288 0.83103 0.33862
H -0.12425 -1.74628 2.18153
H -1.04616 -2.26076 0.95454
H 1.14983 -3.15964 0.26063
*
```

Output
SMILES: NC(=O)C[C@@H](N)CO
LUMO level: 0.845 eV
Gap between HOMO and LUMO: 0.34983 Ha

<three>
DFT (ωB97M-V/def2-TZVPD) results for C4H10N2O2 as an isolated structure.

```
! RIJCOSX wB97M-V def2-TZVPD def2/J DEFGRID3
* xyz 0 1
C -2.15873 -0.93751 -0.62531
C 0.86371 -0.96051 1.50048
C 0.04841 -0.77799 0.25730
O -1.25167 -1.05309 0.46417
N 0.65467 -0.78755 -0.89833
H 0.04975 -0.86677 -1.70957
H -2.08957 0.05140 -1.08797
H -3.14913 -1.06826 -0.19687
H -1.98498 -1.72213 -1.36742
H 1.92675 -0.90588 1.27445
H 0.62265 -1.91852 1.95821
H 0.63002 -0.15725 2.19945
N 1.47180 1.70061 -0.78358
C 0.57531 2.15340 0.07366
O 0.36867 3.22526 0.59148
H 2.23879 2.32933 -0.96201
H 1.26871 0.46382 -1.05601
H -0.08515 1.23165 0.36788
*
```

Output
LUMO level: 0.563 eV
Gap between HOMO and LUMO: 0.34947 Ha

<four>
DFT (ωB97M-V/def2-TZVPD) results for C4H10N2O2 as an isolated structure.

```
! RIJCOSX wB97M-V def2-TZVPD def2/J DEFGRID3
* xyz 0 1
C 0.11533 -1.60235 -0.94711
O -1.19861 -2.19438 -0.93974
C 0.37681 -0.78472 0.43271
C 0.17955 0.70110 0.46619
C 1.35889 1.49673 0.51184
N 1.16511 2.93498 0.69967
O 2.54072 1.06766 0.39920
N -0.46901 -1.38971 1.41047
H 0.73462 -2.43235 -1.02525
H 0.21351 -0.84724 -1.81686
H -0.06443 -2.05038 2.10643
H 1.41946 -0.71083 0.72569
H -0.76707 1.21590 0.75383
H -3.06044 -0.11818 -1.83031
H 0.27646 3.11770 0.15184
H 1.97736 3.18305 0.19668
H -1.18136 -1.91374 0.85585
H -3.61691 0.32677 -2.15113
*
```

Output
LUMO level: -3.676 eV
Gap between HOMO and LUMO: 0.19135 Ha
____________

    generac 006720 generator

No. 1
This record from the OMol25 dataset describes 5 unconnected molecules or ions with the total composition C18H36F3N6O18S4. The level of theory is ωB97M-V with the def2-TZVPD basis set.

Last column: Löwdin charge in e.
Atoms and positions in Å:
S -2.620751 4.646895 5.130469  0.68
S -1.408733 3.588034 -2.537237  0.67
S 2.532200 -5.379072 -3.830710  0.69
S -4.342742 -1.799395 -0.018401  0.66
F 1.479414 0.221125 3.750902  0.04
F 3.279070 1.837984 4.148507  0.02
F 3.448303 -0.408888 4.930733  0.07
O -1.574300 3.727444 4.283444  -0.22
O -3.837541 -0.969018 -1.086881  -0.25
O 2.705406 -6.259404 -2.469492  -0.18
O -2.392184 2.291484 -2.438862  -0.21
O 1.827972 -1.024278 -2.026217  -0.10
O -2.395400 4.534802 -3.426361  -0.18
O -3.963673 4.238584 4.782661  -0.23
O 1.438356 -4.314289 -3.256105  -0.21
O -2.275093 4.052566 6.609563  -0.19
O 3.767418 -4.674031 -4.082812  -0.25
O -4.781468 -3.239049 -0.647162  -0.19
O -2.176163 6.020069 5.074463  -0.23
O -5.835380 -1.279772 0.381501  -0.19
O -0.270499 3.229794 -3.354072  -0.25
O -3.608545 -2.045329 1.202910  -0.24
O -1.281279 4.169585 -1.221199  -0.25
O -0.262924 1.127605 1.460901  -0.23
O 1.879928 -6.205279 -4.822201  -0.21
N 3.653884 0.148012 2.464817  0.06
N 4.348133 0.214360 -1.051351  0.06
N 2.977272 -1.801900 -4.816423  -0.02
N 3.297840 0.720612 1.215251  0.02
N 5.641884 -1.618034 3.300879  0.10
N 5.286851 -0.884795 0.908228  0.18
C -6.810272 -2.162110 -0.171902  -0.17
C 2.543199 -0.051879 -2.857085  -0.26
C -0.719854 3.025957 5.185126  -0.18
C -2.662720 0.961941 0.753678  -0.08
C 0.900785 -4.816212 -2.034684  -0.17
C 3.634661 -0.914736 -3.783708  -0.23
C 4.829410 -0.788291 2.351104  -0.13
C -1.402456 1.965525 1.069090  -0.21
C 0.788047 1.095762 0.405105  -0.12
C 4.272484 0.059532 0.295684  -0.16
C -3.435715 3.730738 -3.977728  -0.17
C 2.038527 -5.604703 -1.391610  -0.17
C -3.681066 2.632582 -2.946431  -0.17
C 3.497083 1.008293 -1.981717  -0.10
C -1.536721 2.841946 6.461287  -0.17
C 2.190823 1.722929 1.059973  -0.08
C 2.979331 0.400115 3.794214  -0.18
C -6.124528 -3.522766 -0.261839  -0.17
H 5.022753 -2.418595 3.594192  0.12
H -4.288101 3.002366 -2.113775  0.14
H 2.925820 1.927364 -1.575947  0.12
H 1.882161 0.565230 -3.599220  0.17
H -7.080810 -1.790656 -1.165572  0.13
H 3.438810 -2.757144 -4.776571  0.05
H -1.183585 2.765441 0.245724  0.09
H -7.701778 -2.190119 0.460321  0.14
H -2.191094 -0.126389 0.620154  0.08
H 1.824198 2.225224 2.080199  0.15
H -1.710379 2.580021 2.045294  0.13
H -4.328454 4.331622 -4.166739  0.14
H 1.958555 -1.919144 -4.620759  0.07
H 4.239618 1.445193 -2.812827  0.15
H -3.295540 1.301903 -0.169866  0.07
H -6.603020 -4.183094 -0.989015  0.14
H 2.595732 2.656770 0.435016  0.15
H 1.028658 -0.064484 0.258187  0.14
H -4.162762 1.754568 -3.384991  0.14
H 4.427068 -0.209766 -4.303882  0.12
H 0.163811 3.645619 5.368714  0.13
H -3.073402 3.310731 -4.922003  0.14
H -0.907455 2.664385 7.336653  0.14
H -2.253032 2.020321 6.355634  0.13
H 4.276839 -1.639524 -3.085649  0.12
**So much for the calculated molecules**

    Got a Generac 0066720. Runs nice and smooth, but the governor is off. It was surging/hunting, and I adjusted the governor per directions I found on youtube. Loosen nut on governor arm, open throttle to full, gov arm fully in that direction, rotate gov shaft cw. It didn't move much, but now...
  3. Diesel_Dude08

    Predator 9500 Generator backfires like a shotgun on shutdown

    Hello, I have been working on a predator 9500 inverter generator for a family friend. He requested a full service along with a few small repairs. Customer was telling me that generator has been neglected, and oil hadn't been changed in a long time. The customer runs a concession business and...
  4. M

    Dewalt Generator

    My Champion 7500 watt generator was having problems, So picked up a Dewalt 8000/10000 ( Have read good reviews on this Gen) Gen for a upcoming storm Have a 8X8 shed that the Gen sits in hooked to a fuse panel. Have a exhaust pipe to vent gases and a exhaust fan. Hooked up the Dewalt ran...
  5. O

    Surging Generator Troubleshooting Help Needed

    A friend dropped off an ETQ TG-3600 he found at the curb and asked if I could get it running. Tank and carb were full of water so I cleaned everything up and generator surges no matter what I've tried. It surges on idle and under load. Here's whats been done. gen model ETQ TG-3600 engine...
  6. O

    10hp Briggs on coleman pwrmate generator leaking oil from governor shaft.

    at this point , i am thinking i need to split engine / generator and replace worn gov shaft and crankcase. the engine runs great, gen makes power. i realize there is no seal, or o-ring... and the shaft needs to swing freely. any ideas? am i on the right track replacing worn out crank case half...
  7. J

    Generator not taking load

    This is a generic question. I have a portable generator that bogs down when a large load is placed on it. I have checked the governor movement and linkage all is fine. Any suggestions generator puts out correct voltage it is a 5500 watt genetic.
  8. S

    Coleman 2500 generator running good, then bad, then not at all

    I have a Coleman 2500 generator with a 5 horsepower Tecumseh. it was running rough, but after I changed the oil, it was running perfect. I put it away for 2 months. got it out again started it... it was running rough. I took it apart cleaned the carburetor float assembly, put it back together...
  9. Craftsman Garage

    Honda Generator no power

    I got a 70s Honda EG1000 generator from my neighbor that had been sitting in a barn for years. Got it running a while ago and noticed no sign of power coming from it. Tried the 110 outlets and nothing. I’m totally new to generators so let me know where to start TIA
  10. J

    Tecumseh model HM100 10hp 5000W generator Electric start conversion

    I have a Coleman Powermate 5000W Year 2006 with Tecumseh model HM100 10hp generator with pull start I would like to install an electric start to this using a 12V battery Can you just get a conversion kit ? Or can you give me the parts numbers of the following. I need the ring gear for the...
  11. D


    Good Morning, I have a RYOBI 6500 Watt generator, RY906500S / 099930624, generator seems to start and run well until I put a load on it. Then it stalls, backfires and goes into a complete freak out until I remove the load. I have used this machine for about a year with no problem. Any Ideas as...
  12. J

    Craftman Generator 6300 watt 11 HP

    Craftman Generator 6300 Watt with a Briggs Straton engine 11 HP , The model is 10T802 and the Type is 1130 B1 and the Code is 08031354 I rebuilt the engine 2 years ago and it run fine and it was use for 5 days in a row last year with no problem. But there is a small thing that it always did...
  13. Craftsman Garage

    Honda Generator parts

    I was given a 1970s ish Honda EG1000 generator which I have found has no spark and needs a carburetor. The problem I am having is figuring out what Honda engine this is (GX160, GX190, etc) so I can order the proper parts. Can I even get these parts or are they not made anymore? I am fine with an...
  14. D

    RYOBI Generator.

    Good Morning, I have a RYOBI 6500 Watt generator, RY906500S / 099930624, generator seems to start and run well until I put a load on it. Then it stalls, backfires and goes into a complete freak out until I remove the load. I have used this machine for about a year with no problem. Any Ideas as...
  15. O

    In search of generator manual

    I'm looking for the manual the goes with an older ETQ generator. I've looked high and low and have come up empty. ETQ TG3600 Thank to all who reply